**What to do**
Could you quote only the lines further below with the word "Fe4" in them?

**Data**
'''
Structure and calculated powder X-ray diffraction pattern of Zr2Fe2Os (a DFT-relaxed cell (GGA-PBE, Alexandria); Cu Kα).
No peak broadening, texture or thermal motion is included.

Atomic structure:
```
data_Zr2Fe2Os
_chemical_formula_sum 'Zr4 Fe4 Os2'
_symmetry_space_group_name_H-M 'P 1'
_symmetry_Int_Tables_number 1
_symmetry_space_group_name_Hall 'P 1'
_cell_length_a 6.331
_cell_length_b 6.331
_cell_length_c 4.044
_cell_angle_alpha 90.00
_cell_angle_beta 90.00
_cell_angle_gamma 90.00
loop_
_atom_site_label
_atom_site_type_symbol
_atom_site_fract_x
_atom_site_fract_y
_atom_site_fract_z
_atom_site_occupancy
Zr1 Zr 0.182 0.318 0.000 1
Zr2 Zr 0.318 0.818 0.000 1
Zr3 Zr 0.682 0.182 0.000 1
Zr4 Zr 0.818 0.682 0.000 1
Fe1 Fe 0.120 0.620 0.500 1
Fe2 Fe 0.380 0.120 0.500 1
Fe3 Fe 0.620 0.880 0.500 1
Fe4 Fe 0.880 0.380 0.500 1
Os1 Os 0.000 0.000 0.500 1
Os2 Os 0.500 0.500 0.500 1
```

Principal peaks in the range 2θ from 10° to 90°, low angle first:
(1 1 0), 2θ = 19.83°, 4.476 Å, rel. 17; (1 1 1), 2θ = 29.77°, 3.001 Å, rel. 39; (2 0 1), 2θ = 36.03°, 2.493 Å, rel. 100; (2 1 1), 2θ = 38.83°, 2.319 Å, rel. 70; (2 2 0), 2θ = 40.30°, 2.238 Å, rel. 26; (0 0 2), 2θ = 44.82°, 2.022 Å, rel. 32; (3 1 0), 2θ = 45.30°, 2.002 Å, rel. 52; (3 1 1), 2θ = 50.90°, 1.794 Å, rel. 21; (3 1 2), 2θ = 65.63°, 1.423 Å, rel. 34; (5 1 1), 2θ = 81.02°, 1.187 Å, rel. 19

---

Structure and calculated powder X-ray diffraction pattern of ZrFe2Os (a DFT-relaxed cell (GGA-PBE, Alexandria); Cu Kα).
No peak broadening, texture or thermal motion is included.

Atomic structure:
```
data_ZrFe2Os
_chemical_formula_sum 'Zr2 Fe4 Os2'
_symmetry_space_group_name_H-M 'P 1'
_symmetry_Int_Tables_number 1
_symmetry_space_group_name_Hall 'P 1'
_cell_length_a 3.195
_cell_length_b 4.342
_cell_length_c 8.735
_cell_angle_alpha 90.00
_cell_angle_beta 90.00
_cell_angle_gamma 90.00
loop_
_atom_site_label
_atom_site_type_symbol
_atom_site_fract_x
_atom_site_fract_y
_atom_site_fract_z
_atom_site_occupancy
Zr1 Zr 0.000 0.000 0.000 1
Zr2 Zr 0.500 0.500 0.500 1
Fe1 Fe 0.000 0.500 0.240 1
Fe2 Fe 0.000 0.500 0.760 1
Fe3 Fe 0.500 0.000 0.260 1
Fe4 Fe 0.500 0.000 0.740 1
Os1 Os 0.000 0.000 0.500 1
Os2 Os 0.500 0.500 0.000 1
```

Principal peaks in the range 2θ from 10° to 90°, low angle first:
(0 0 2), 2θ = 20.33°, 4.368 Å, rel. 24; (0 1 1), 2θ = 22.87°, 3.888 Å, rel. 14; (1 1 0), 2θ = 34.87°, 2.573 Å, rel. 13; (1 1 2), 2θ = 40.70°, 2.217 Å, rel. 100; (0 0 4), 2θ = 41.34°, 2.184 Å, rel. 24; (0 2 0), 2θ = 41.60°, 2.171 Å, rel. 24; (0 2 4), 2θ = 60.09°, 1.540 Å, rel. 15; (1 1 6), 2θ = 74.95°, 1.267 Å, rel. 15; (1 3 2), 2θ = 75.30°, 1.262 Å, rel. 16; (2 2 4), 2θ = 88.13°, 1.109 Å, rel. 10

~~~~~

Structure and simulated XRD peak list of Ni8Bi8S (a PBE-relaxed structure; Cu Kα, 1.54184 Å).

Principal peaks in the range 2θ from 5° to 70°, in order of rising 2θ:
Position (°2θ), d_spacing, I/Imax, h k l
17.49, 5.069, 44, 1 3 0
26.85, 3.320, 29, 1 5 0
27.96, 3.192, 100, 2 1 1
30.64, 2.918, 80, 1 4 1
36.91, 2.435, 33, 3 5 0
38.43, 2.343, 26, 1 6 1
39.86, 2.262, 19, 3 4 1
42.80, 2.113, 52, 0 0 2
44.48, 2.037, 27, 4 3 1
57.75, 1.596, 21, 3 5 2

Atomic structure:
abc: 10.1284 17.5764 4.2280
angles: 90.00 90.00 90.00
Fractional positions:
1 Ni 0.0612 0.1078 0.0036
2 Ni 0.0901 0.9036 0.4982
3 Ni 0.1794 0.0546 0.5016
4 Ni 0.1903 0.9683 0.0021
5 Ni 0.3097 0.4683 0.9979
6 Ni 0.3206 0.5546 0.4984
7 Ni 0.4099 0.4036 0.5018
8 Ni 0.4388 0.6078 0.9964
9 Ni 0.5612 0.3922 0.9964
10 Ni 0.5901 0.5964 0.5018
11 Ni 0.6794 0.4454 0.4984
12 Ni 0.6903 0.5317 0.9979
13 Ni 0.8097 0.0317 0.0021
14 Ni 0.8206 0.9454 0.5016
15 Ni 0.9099 0.0964 0.4982
16 Ni 0.9388 0.8922 0.0036
17 Bi 0.1022 0.2034 0.4993
18 Bi 0.1472 0.4358 0.5004
'''

**Written answer**
_chemical_formula_sum 'Zr4 Fe4 Os2'
Fe4 Fe 0.880 0.380 0.500 1
_chemical_formula_sum 'Zr2 Fe4 Os2'
Fe4 Fe 0.500 0.000 0.740 1